Why Obama’s Jab at Walker’s Foreign Policy Knowledge Misses the Point

Walter Lohman /

In response to Wisconsin Gov. Scott Walker’s criticism of his Iran policy, President Obama suggested that the presumed candidate for the 2016 Republican presidential nomination “bone up on foreign policy.”

In other words, anyone who disagrees with the president on Iran’s nuclear program, or any other national security issue, is just not knowledgeable enough to understand.

Of course, there is a very serious irony at play here. The president’s foreign policy is in shambles from Ukraine to the Middle East to the South China Sea. Yet it is his critics who just don’t get it.

+++
# 1
A relaxed KCdOF2 crystal. Source: Alexandria, functional PBE-GGA.

abc: 4.527 4.527 4.248
angles: 90.00 90.00 90.00
Space group P4/mmm (No. 123)
Symmetry-distinct sites (fractional):
K: 0.000 0.000 0.000
Cd: 0.500 0.500 0.500
O: 0.500 0.500 0.000
F: 0.000 0.500 0.500

## Properties
The energy above the most stable polymorph in this dataset is 0 meV/atom. The value obtained for the formation energy from raw total energies is -1.69 eV per atom. As for the total magnetization: 0.89 μB/cell. Its density of states at the Fermi level is 4.1 states/eV per cell.

# 2
A relaxed K3Cd2PbF9 crystal. Source: Alexandria, functional PBE-GGA.

abc: 6.3753 6.3753 8.2737
angles: 90.00 90.00 120.00
Space group P-3m1 (No. 164)
Symmetry-distinct sites (fractional):
K: 0.0000 0.0000 0.0000
K: 0.3333 0.6667 0.7347
Cd: 0.3333 0.6667 0.1631
Pb: 0.0000 0.0000 0.5000
F: 0.0000 0.5000 0.0000
F: 0.1638 0.3276 0.3058

## Properties
The value obtained for the formation energy from raw total energies is -2.45 eV per atom. As for the total magnetization: 0.00 μB/cell. Its density of states at the Fermi level is 0.0 states/eV per cell.

# 3
A relaxed KCdPbF6 crystal. Source: Alexandria, functional PBE-GGA.

abc: 6.1643 6.1643 10.6475
angles: 90.00 90.00 120.00
Space group P-31c (No. 163)
Symmetry-distinct sites (fractional):
K: 0.0000 0.0000 0.0000
Cd: 0.3333 0.6667 0.2500
Pb: 0.3333 0.6667 0.7500
F: 0.9998 0.3674 0.1403

## Properties
The value obtained for the formation energy from raw total energies is -2.27 eV per atom. As for the total magnetization: 1.49 μB/cell. Its density of states at the Fermi level is 7.2 states/eV per cell.

# 4
A relaxed KCdPdF6 crystal. Source: Alexandria, functional PBE-GGA.

abc: 7.214 7.917 10.325
angles: 90.00 90.00 90.00
Space group Imma (No. 74)
Symmetry-distinct sites (fractional):
K: 0.000 0.250 0.148
Cd: 0.250 0.250 0.750
Pd: 0.000 0.000 0.500
F: 0.000 0.250 0.580
F: 0.000 0.250 0.868
F: 0.194 0.031 0.366

## Properties
The value obtained for the formation energy from raw total energies is -1.95 eV per atom. As for the total magnetization: 0.23 μB/cell. Its density of states at the Fermi level is 6.0 states/eV per cell.

# 5
A relaxed K3CdPd2F9 crystal. Source: Alexandria, functional PBE-GGA.

abc: 6.1729 6.1729 7.5557
angles: 90.00 90.00 120.00
Space group P-3m1 (No. 164)
Symmetry-distinct sites (fractional):
K: 0.0000 0.0000 0.0000
K: 0.3333 0.6667 0.6674
Cd: 0.0000 0.0000 0.5000
Pd: 0.3333 0.6667 0.1578
F: 0.0000 0.5000 0.0000
F: 0.1678 0.3356 0.3263

## Properties
The value obtained for the formation energy from raw total energies is -2.03 eV per atom. As for the total magnetization: 0.00 μB/cell. Its density of states at the Fermi level is 2.7 states/eV per cell.

# 6
A relaxed K2CdPd3F12 crystal. Source: Alexandria, functional PBE-GGA.

abc: 8.0952 8.0952 18.0612
angles: 90.00 90.00 120.00
Space group R-3m (No. 166, hexagonal axes)
Symmetry-distinct sites (fractional):
K: 0.0000 0.0000 0.1812
Cd: 0.0000 0.0000 0.5000
+++

A great deal is certain to be written on this and other ironies in the days to come. Indeed, it takes gall for a president who came to office with negligible experience in foreign affairs, and even less apparent interest, to criticize the background of another aspirant to the office.

During his 2008 presidential campaign, Obama’s principal claim to foreign policy experience lay in befriending the Republican chairman of the Senate Foreign Policy Committee, then-Sen. Dick Lugar.

Many liberals do not accept that intelligent, decent people can have honest differences of opinion.

== Next to the piece, the page also holds calculated crystals ==
No. 1
! RbSe PBE relaxed; values from VASP
! - DOS at the Fermi energy: 0.08 states/eV/atom
! - Magnetization: 0.00 μB/cell
! - Formation energy without anion corrections: -0.760 eV/atom
! - E_tot: -2.99 eV per atom
&SYSTEM
  ibrav = 0, nat = 12, ntyp = 2
/
ATOMIC_SPECIES
Rb 85.47 Rb.upf
Se 78.96 Se.upf
CELL_PARAMETERS angstrom
11.7732 0.0000 0.0000
-5.8866 10.1959 0.0000
0.0000 0.0000 5.1647
ATOMIC_POSITIONS crystal
Rb 0.2174 0.4348 0.2500
Rb 0.2174 0.7826 0.2500
Rb 0.4348 0.2174 0.7500
Rb 0.5652 0.7826 0.2500
Rb 0.7826 0.2174 0.7500
Rb 0.7826 0.5652 0.7500
Se 0.0413 0.5207 0.7500
Se 0.4793 0.5207 0.7500
Se 0.4793 0.9587 0.7500
Se 0.5207 0.0413 0.2500
Se 0.5207 0.4793 0.2500
Se 0.9587 0.4793 0.2500

***

No. 2
! RbSe PBE relaxed; values from VASP
! - DOS at the Fermi energy: 0.61 states/eV/atom
! - Magnetization: 0.00 μB/cell
! - Formation energy without anion corrections: -0.842 eV/atom
! - E_tot: -3.07 eV per atom
&SYSTEM
  ibrav = 0, nat = 4, ntyp = 2
/
ATOMIC_SPECIES
Rb 85.47 Rb.upf
Se 78.96 Se.upf
CELL_PARAMETERS angstrom
5.2693 0.0000 0.0000
0.0000 5.2572 0.0000
-2.6279 0.0000 5.5728
ATOMIC_POSITIONS crystal
Rb 0.1435 0.2500 0.2880
Rb 0.8565 0.7500 0.7120
Se 0.4613 0.2500 0.9224
Se 0.5387 0.7500 0.0776

***

No. 3
! RbSe5 PBE relaxed; values from VASP
! - DOS at the Fermi energy: 0.26 states/eV/atom
! - Magnetization: 0.00 μB/cell
! - Formation energy without anion corrections: -0.286 eV/atom
! - E_tot: -3.35 eV per atom
&SYSTEM
  ibrav = 0, nat = 12, ntyp = 2
/
ATOMIC_SPECIES
Rb 85.47 Rb.upf
Se 78.96 Se.upf
CELL_PARAMETERS angstrom
4.2524 0.0000 0.0000
0.0000 13.1224 0.0000
-1.1234 0.0000 7.2219
ATOMIC_POSITIONS crystal
Rb 0.2118 0.2500 0.4275
Rb 0.7882 0.7500 0.5725
Se 0.2058 0.5989 0.0679
Se 0.2058 0.9011 0.0679
Se 0.2424 0.5459 0.3834
Se 0.2424 0.9541 0.3834
Se 0.4756 0.2500 0.9431
Se 0.5244 0.7500 0.0569
Se 0.7576 0.0459 0.6166
Se 0.7576 0.4541 0.6166
Se 0.7942 0.0989 0.9321
Se 0.7942 0.4011 0.9321

***

Among the records above, which one has the lowest E_tot?
RbSe5

It is also tempting to point out how little Obama appears to have grown into the job. After six years, he still displays a troubling misunderstanding of power and the leadership role the United States plays in the international system.

But the cheap shot at Walker also betrays a liberal conceit too rarely commented upon. Many liberals do not accept that intelligent, decent people can have honest differences of opinion. And they are aided and abetted by a media that—whatever its differences with the president on their own access—are always eager to be seen as “smart.” As a result, the president’s critics are often portrayed as either uniformed or politically motivated.

Obama used this dynamic to excellent effect in the 2012 campaign when he mocked another “inexperienced” state government chief executive, Mitt Romney, for his concern about Russia and the deteriorating state of America’s armed forces.

Yet Romney was right about both. But the gotcha moments were too good for the press to resist. Obama was smart; Romney not so much. The story was written. Sen. Tom Cotton, R-Ark., (a graduate of Harvard Law School, by the way) and the 46 other senators who signed the open letter to Iran’s leaders concerning Congress’ constitutional authorities fell afoul of the same dynamic.

Criticism of Obama’s Iran policy is not a matter of who’s smarter. It should be a question of who’s right. Questioning the foreign policy credentials of critics with a cute turn of phrase cannot substitute for substantive defense of an already highly controversial policy choice.